== Activity ==
What is needed: work out how many lines further down have the word "of" in them; a number is enough.
== Data ==
'''
Entry 1:
The following is a DFT calculation (wB97M-V/def2-TZVPD) of a cluster of 7 separate species, C27H72N4O11 in total.

Geometry as XYZ:
```
114
Properties=species:S:1:pos:R:3:forces:R:3
C -2.006 -0.771 -2.034 0.100 0.638 -1.726
O -1.093 -1.785 -2.385 0.628 -0.409 -0.234
C -0.805 -1.785 -3.768 1.099 -0.136 -0.823
C 0.352 -2.768 -4.015 -0.038 -0.195 1.543
N -0.044 -4.115 -3.747 0.237 -1.759 -0.867
C -0.788 -4.701 -4.867 0.279 0.023 0.180
C -0.983 -6.226 -4.694 0.979 1.538 -0.405
O -1.801 -6.471 -3.626 -1.006 -0.991 0.532
C -3.171 -6.281 -3.879 0.123 0.719 0.823
H -2.111 -0.629 -0.959 -0.074 -0.312 -0.245
H -2.899 -0.950 -2.632 -0.842 -0.251 0.784
H -1.647 0.122 -2.546 0.175 0.662 0.672
H -0.429 -0.843 -4.168 -0.341 0.719 0.460
H -1.714 -2.034 -4.316 -0.079 -0.143 -0.220
H 1.137 -2.580 -3.283 -0.022 0.667 0.344
H 0.935 -2.734 -4.935 -0.764 0.342 -0.472
H -0.629 -4.184 -2.927 0.066 0.095 0.269
H -0.293 -4.466 -5.809 0.423 -0.217 0.013
H -1.714 -4.130 -4.937 -0.729 -0.526 -0.300
H -0.047 -6.695 -4.388 0.316 0.188 -0.536
H -1.356 -6.655 -5.624 -0.090 -0.225 -0.152
H -3.371 -5.209 -3.876 -0.384 0.228 0.385
H -3.621 -6.786 -3.024 -0.659 0.176 -0.394
H -3.551 -6.590 -4.852 0.309 -0.771 -0.072
C 0.876 1.144 -1.463 1.584 0.746 -0.086
O 1.688 2.326 -1.296 -0.473 0.351 -0.122
C 2.717 2.541 -2.249 0.175 -0.943 -0.436
C 3.181 3.974 -2.337 -0.255 -1.762 1.779
N 2.083 4.807 -2.672 -0.332 -0.026 -0.988
C 2.619 6.117 -2.755 -0.979 2.015 -0.906
C 1.624 7.181 -3.378 1.179 -0.954 0.470
O 0.480 7.359 -2.626 -2.216 -0.395 0.556
C 0.447 8.109 -1.443 0.851 0.213 0.028
H 0.471 1.136 -2.475 -0.654 0.111 0.159
H 0.190 1.144 -0.616 -0.307 0.017 -0.509
H 1.488 0.245 -1.391 0.204 -0.199 0.123
H 2.430 2.339 -3.281 -0.644 -0.615 -0.083
H 3.534 1.869 -1.989 0.375 -0.034 -0.103
H 4.004 4.027 -3.049 -0.161 0.072 -0.166
H 3.574 4.211 -1.348 0.480 0.412 0.322
H 1.362 4.738 -1.968 -0.101 -0.061 0.035
H 3.504 6.058 -3.387 0.020 0.278 -0.166
H 2.967 6.417 -1.766 0.144 0.642 0.238
H 1.204 6.841 -4.325 0.511 -0.325 -0.135
H 2.156 8.111 -3.576 0.166 0.319 0.174
H 0.712 9.139 -1.680 0.348 0.216 0.313
H 1.096 7.666 -0.687 0.411 0.250 0.115
H -0.531 8.149 -0.964 -0.304 -0.391 -0.646
C 2.541 -0.833 1.520 0.520 -1.035 0.648
O 3.723 -0.313 2.177 -0.237 -0.624 0.029
C 4.357 -1.181 3.164 -0.702 -0.009 0.012
C 5.435 -0.384 3.887 -1.220 0.495 -0.501
N 4.752 0.447 4.920 1.454 -0.376 0.540
C 5.713 1.155 5.795 0.723 0.702 0.391
C 4.972 2.067 6.743 -0.834 1.840 0.763
O 5.764 2.940 7.644 0.818 -2.408 -1.941
C 5.075 3.749 8.526 -0.365 0.067 0.106
H 2.730 -1.802 1.058 0.462 -0.132 -0.012
H 2.141 -0.221 0.711 0.516 0.630 0.409
H 1.733 -1.063 2.215 -0.008 0.384 0.331
H 4.735 -2.129 2.781 0.296 0.152 -0.889
H 3.658 -1.532 3.923 -0.534 0.349 0.053
H 5.830 0.279 3.117 0.656 0.001 -0.054
H 6.219 -1.042 4.261 -0.164 0.169 0.343
H 4.294 1.151 4.359 -0.394 0.237 0.149
H 6.394 1.800 5.239 0.239 0.060 -0.369
H 6.371 0.534 6.404 -0.264 -0.759 -0.299
H 4.219 1.501 7.293 0.075 -0.069 0.323
H 4.440 2.770 6.102 -0.478 0.149 -0.054
H 4.291 4.310 8.017 -0.174 0.251 -0.006
H 5.816 4.430 8.945 -0.142 0.093 0.007
H 4.627 3.182 9.342 -0.173 -0.122 0.159
C -7.954 0.581 -0.196 1.059 -0.603 -0.376
O -6.743 0.841 0.530 -0.010 -0.575 -0.139
C -5.640 -0.028 0.140 -0.385 -0.011 0.615
C -4.394 0.415 0.900 -1.279 1.646 -0.249
N -4.014 1.771 0.514 1.042 -0.388 -1.284
C -3.266 2.513 1.500 -0.087 -0.902 -0.221
C -1.892 1.894 1.852 -0.638 -0.235 0.435
O -1.968 0.622 2.553 -0.749 0.756 0.056
C -0.742 -0.075 2.654 0.564 0.939 -0.660
H -8.821 1.165 0.114 0.559 0.397 0.312
H -8.253 -0.464 -0.117 0.064 -0.257 0.186
H -7.725 0.752 -1.248 -0.351 0.181 -0.272
H -5.563 -0.089 -0.946 0.262 0.534 -0.262
H -5.788 -1.065 0.441 -0.618 -0.161 0.244
H -3.559 -0.281 0.823 -0.187 -0.036 -0.005
H -4.721 0.523 1.934 0.078 -0.813 0.485
H -4.770 2.350 0.176 -0.291 -0.466 0.114
H -3.920 2.649 2.362 0.344 0.085 0.749
H -3.118 3.489 1.037 0.448 0.159 0.316
H -1.410 2.645 2.478 0.450 -0.105 0.192
H -1.335 1.788 0.921 0.157 -0.133 -0.109
'''
== Solution ==
1